Monday, June 6, 2011

ORCA calculation (wB97M-V/def2-TZVPD) on a cluster of 14 separate species, C66H164N19O19P5 in total in a non-equilibrium geometry.

highest occupied orbital energy: -7.685 eV
charge: 0
total energy: -184765.3304 eV
LUMO level: 0.054 eV
multiplicity: 1
HOMO-LUMO gap: 7.7389 eV

Positions of all 273 atoms, in Å:
1 H -3.722 26.175 9.299
2 H -5.760 26.782 15.923
3 C -12.097 23.643 19.505
4 C -7.144 30.872 10.857
5 H -9.016 21.994 17.305
6 H -4.458 20.235 10.963
7 H -11.113 35.246 14.611
8 O -0.945 29.156 9.883
9 H 2.225 34.256 13.762
10 H -12.527 26.236 18.850
11 H -10.971 26.693 10.647
12 H 3.825 33.784 15.415
13 H 2.137 23.460 13.962
14 C -10.794 34.540 15.379
15 C -6.150 32.007 10.904
16 C -8.088 25.065 16.445
17 H -6.234 35.057 18.358
18 H -0.575 21.956 12.343
19 H 1.722 22.233 19.496
20 C -5.546 24.360 20.923
21 H -6.946 26.441 8.735
22 N 2.877 25.920 18.543
23 H -10.109 28.241 10.523
24 H 4.714 32.307 9.238
25 O -4.576 33.459 9.749
26 H -5.995 28.342 16.686
27 H -3.425 32.151 10.874
28 H -8.695 21.073 18.752
29 C 2.043 25.052 21.345
30 C -2.707 32.293 19.930
31 H -0.437 25.972 6.848
32 H -6.125 33.954 11.318
33 H 0.642 25.054 15.965
34 C -7.177 35.124 17.808
35 N 1.867 24.217 20.183
36 H -6.240 26.398 12.637
37 H 0.770 28.998 15.672
38 H 3.163 34.820 16.680
39 C -6.269 27.287 8.555
40 H -6.152 32.666 8.783
41 H 0.460 33.355 19.536
42 H -5.180 34.076 16.446
43 H -7.892 25.093 15.373
44 H -6.004 23.405 20.659
45 H -2.429 29.048 16.034
46 C 1.057 33.450 18.632
47 H -0.070 22.498 10.681
48 H -11.447 33.684 15.137
49 H -11.997 22.589 19.232
50 C -1.090 25.192 18.480
51 C -0.570 25.832 9.043
52 H 3.758 27.643 17.797
53 H 2.454 22.473 21.135
54 C -7.010 28.217 7.593
55 H -3.407 33.445 18.261
56 C -0.409 27.907 7.858
57 H 2.358 32.094 9.648
58 H 4.431 34.027 9.141
59 H -3.144 33.847 11.253
60 C -4.438 25.761 8.573
61 O -4.408 22.730 9.125
62 H -10.409 21.476 18.171
63 O -0.795 26.927 9.927
64 H -8.009 26.131 16.683
65 O -0.736 32.650 15.905
66 O -9.104 25.650 19.135
67 H 0.135 27.649 17.999
68 H -6.774 30.359 15.812
69 H -5.151 25.140 9.110
70 N 0.121 25.784 19.040
71 N -7.224 34.164 16.740
72 C -6.121 29.393 7.223
73 O -5.111 26.823 7.914
74 H 3.322 33.084 16.978
75 C 3.085 33.827 16.221
76 N 1.738 33.655 15.699
77 C 0.522 24.924 13.821
78 H -0.652 27.681 19.620
79 H -3.736 31.492 13.532
80 H -5.960 35.236 15.399
81 H -5.383 31.721 11.630
82 H -13.154 23.890 19.520
83 H -4.945 30.098 20.100
84 H 3.449 31.862 12.484
85 C 0.431 31.076 18.453
86 N -11.395 24.488 18.544
87 C -0.106 22.746 11.742
88 H 0.619 34.293 18.091
89 H -1.840 25.107 19.272
90 C -5.316 26.677 12.111
91 H -1.835 30.167 12.268
92 C -10.433 27.461 11.205
93 C -4.338 26.225 20.407
94 H -4.200 24.202 22.656
95 H 1.062 26.264 7.734
96 C 2.899 27.002 17.571
97 O -3.556 25.555 21.277
98 H 2.796 24.628 22.012
99 H 2.036 33.781 9.933
100 H -6.278 24.711 21.658
101 C 3.776 33.194 10.987
102 C 1.691 22.801 20.420
103 N 0.976 25.462 15.097
104 H -2.846 27.673 17.094
105 H 0.385 31.248 19.529

Drama Mama & Tween Talk

Don't let Little Mama's Sunday dress and smile fool you, she's all drama. She had ballet a few weeks back when we were moving. Between my trips back and forth I didn't have time to go back to the old house for her ballet clothes, so I thought she'd be fine in her cotton tank and shorts. Oh geez was I wrong! Seriously, she cried and cried about it. Who knew she was such a diva!?!? I've created a monster. :)

Then on this particular day, I pulled out her new ballet clothes thinking she'd be all smiles,

and she was until I told her she couldn't wear it with the straps in the front!! This having a daughter thing is kickin' my butt I tell ya! I've changed her nickname to 'Little Drama Mama'.

As for my tween, he had a blast throwing a surprise party for his best friend Thomas. Such a great group of sad Thomas has to move. :(

Someone pasted records of molecules at this point
Entry 1:
Density functional theory data (the ωB97M-V functional and the def2-TZVPD basis) for a structure of composition C14H42O11PRb5.

Computed properties:
ΔE to the lowest compared entry with this formula, charge and spin: 0.0 kcal/mol
Gap between HOMO and LUMO (spin up / spin down): 8.2 / 4.2 eV
Lowest unoccupied orbital energy (spin up / spin down): -0.33007 / -0.46560 Ha
Largest force on an atom: 3.1 eV/Å
DFT total energy: -50268.010 eV

```
! RIJCOSX wB97M-V def2-TZVPD def2/J DEFGRID3
* xyz 3 2
Rb 3.229 -1.191 3.271
Rb -2.879 -1.255 1.407
Rb 0.612 2.379 2.536
Rb 2.585 -2.852 -0.330
Rb 0.692 -3.671 2.525
P 0.285 -0.495 0.992
O -0.239 -1.931 0.562
O -0.854 0.577 0.631
O 1.615 -0.179 0.307
O 0.429 -0.544 2.539
C 5.498 0.863 0.557
C 4.388 1.889 0.822
O 3.288 1.283 1.635
H 5.004 0.055 0.018
H 6.085 0.446 1.376
H 6.202 1.224 -0.192
H 4.003 2.281 -0.119
H 4.787 2.788 1.291
H 2.819 0.719 1.017
C 1.121 3.754 -2.519
C 0.063 2.706 -2.128
O -0.123 2.737 -0.780
H 1.136 3.911 -3.598
H 2.129 3.388 -2.324
H 1.107 4.733 -2.041
H 0.516 1.736 -2.331
H -0.861 2.718 -2.705
H -0.209 1.822 -0.501
C -1.620 -4.604 -2.985
C -1.043 -4.260 -1.607
O -1.858 -3.385 -0.884
H -1.886 -3.727 -3.575
H -2.542 -5.127 -2.735
H -0.896 -5.257 -3.472
H -0.039 -3.872 -1.783
H -0.940 -5.147 -0.981
H -1.221 -2.843 -0.413
C -1.282 -2.650 6.332
C -0.761 -1.591 5.397
O -1.177 -1.760 4.046
H -0.991 -2.539 7.377
H -1.260 -3.664 5.933
H -2.344 -2.416 6.401
H 0.326 -1.556 5.328
H -1.155 -0.632 5.734
H -0.613 -1.190 3.518
C 2.820 1.065 -3.944
C 3.008 0.528 -2.489
O 1.968 -0.348 -2.252
H 3.620 1.753 -4.218
H 1.942 1.676 -4.152
H 2.910 0.232 -4.642
H 2.892 1.355 -1.789
H 3.973 0.032 -2.380
H 1.785 -0.174 -1.325
C -4.361 3.145 2.254
C -3.367 2.477 1.293
O -2.318 2.112 2.169
H -4.002 4.126 2.564
H -4.847 2.546 3.024
H -5.260 3.406 1.695
H -2.984 3.190 0.564
H -3.737 1.576 0.803
H -1.678 1.668 1.608
C -3.344 -0.894 -3.048
C -2.120 -0.272 -2.350
O -2.514 0.608 -1.325
H -2.813 -1.413 -3.847
H -4.120 -0.210 -3.391
H -3.781 -1.752 -2.538
H -1.582 0.311 -3.098
H -1.457 -1.063 -2.000
H -1.760 0.648 -0.733
*
```

Mulliken atomic charge list, values in e, 8 entries: Rb 0.9409; Rb 1.1177; Rb 1.1103; Rb 1.3509; Rb 1.3484; P -1.3021; O -0.7269; O -0.4327

---

Entry 2:
Density functional theory data (the ωB97M-V functional and the def2-TZVPD basis) for a cluster of 7 separate species, C14H42O12 in total.

Computed properties:
ΔE to the lowest compared entry with this formula, charge and spin: 12.5 kcal/mol
Gap between HOMO and LUMO: 9.9 eV
Lowest unoccupied orbital energy: 0.00978 Ha
Largest force on an atom: 2.4 eV/Å
DFT total energy: -39765.575 eV
SMILES: OCCO.OCCO.OCCO.OCCO.OCCO.CCO.CCO

```
! RIJCOSX wB97M-V def2-TZVPD def2/J DEFGRID3
* xyz 0 1
O 0.439 -3.074 4.694
C -0.241 -2.436 3.646
C -0.118 -0.929 3.744
O -0.957 -0.428 4.741
H -0.092 -2.976 5.514
H 0.201 -2.803 2.725
H -1.300 -2.658 3.549
H -0.554 -0.501 2.830
H 0.915 -0.636 3.843
H -1.027 0.511 4.593
O -1.011 -1.785 -3.943
C -1.723 -2.909 -3.574

That brings us to Kade, he's about half way through his rehearsals for The Adventures of Pinocchio. It will be fun to see him on stage again, he absolutely loves doing plays. He's having a great time dancing, singing and making friends. Today he told me he should just get permanent make-up so he didn't have to bother with it every night. LOL. He has me laughing on a regular basis!

Other summer happenings: The boys and I are reading aloud The Hiding Place, hopefully it will be a good read. I'm also making a list of goals and things we can do to stay busy this summer.

What are you reading this summer?



  1. Hi Jessica! Yes, I live in the panhandle of Texas! I absolutely cannot believe a fireman would set a fire! (My hubs is a fireman in a smaller town and some of the stuff people pull amazes me.) Anyways- thanks so much for your comment! I've added your blog to my list of reads and hope to keep up with you and your family! Hope you have a fantastic day!

  2. Your blog is beautiful. We have so much in common. Thanks for following me:)

  3. Can I steel that nick name for my little drama mama??? So fitting!!!! Too bad we aren't a little closer and they could be drama queens together!!!!!!! She is so beautiful Jess! Miss ya! xoxoxo

  4. Love the blog! Thanks for visiting my site and introducing me to yours. We're reading a lot of personality books and organics books. Heavy stuff for a light summer!

  5. TRYing to read the autobiography of ghandi... it's an oprah bookclub suggestion!! (hahaha) for bookclub and i couldn't resist "state of wonder", a novel... have you heard any of matt kearny's new album?? it's awesome!! love!
